-- Listing --
=====
Simulated powder diffractogram of CoH4SN2O4 for a wavelength of 1.5418 Å, from a GGA+U-relaxed structure.
Peak positions follow from Bragg's law for the DFT cell and can differ from measured ones.

Peak list (12 most intense, 15 to 90 degrees two-theta, in order of falling intensity)
20.3 deg, d = 4.368 Å, I 1000
26.7 deg, d = 3.339 Å, I 425
30.6 deg, d = 2.924 Å, I 310
35.9 deg, d = 2.503 Å, I 254
17.7 deg, d = 5.002 Å, I 231
33.8 deg, d = 2.650 Å, I 209
55.0 deg, d = 1.670 Å, I 157
48.7 deg, d = 1.869 Å, I 132
35.0 deg, d = 2.566 Å, I 109
38.9 deg, d = 2.313 Å, I 99
53.2 deg, d = 1.722 Å, I 91
59.3 deg, d = 1.559 Å, I 87

Structure:
```
CoH4SN2O4
1.0
6.570 0.000 0.000
0.000 7.714 0.000
0.000 0.000 8.969
Co H S N O
4 16 4 8 16
Direct
0.000 0.000 0.000 Co
0.000 0.500 0.500 Co
0.500 0.000 0.500 Co
0.500 0.500 0.000 Co
0.127 0.126 0.498 H
0.127 0.374 0.998 H
0.197 0.119 0.674 H
0.197 0.381 0.174 H
0.303 0.119 0.174 H
0.303 0.381 0.674 H
0.373 0.126 0.998 H
0.373 0.374 0.498 H
0.627 0.626 0.502 H
0.627 0.874 0.002 H
0.697 0.619 0.326 H
0.697 0.881 0.826 H
0.803 0.619 0.826 H
0.803 0.881 0.326 H
0.873 0.626 0.002 H
0.873 0.874 0.502 H
0.250 0.750 0.242 S
0.250 0.750 0.742 S
0.750 0.250 0.258 S
0.750 0.250 0.758 S
0.244 0.155 0.569 N
0.244 0.345 0.069 N
0.256 0.155 0.069 N
0.256 0.345 0.569 N
0.744 0.655 0.431 N
0.744 0.845 0.931 N
0.756 0.655 0.931 N
0.756 0.845 0.431 N
0.069 0.708 0.648 O
0.069 0.792 0.148 O
0.203 0.596 0.336 O
0.203 0.904 0.836 O
0.297 0.596 0.836 O
0.297 0.904 0.336 O
0.431 0.708 0.148 O
0.431 0.792 0.648 O
0.569 0.208 0.352 O
0.569 0.292 0.852 O
0.703 0.096 0.664 O
0.703 0.404 0.164 O
0.797 0.096 0.164 O
0.797 0.404 0.664 O
0.931 0.208 0.852 O
0.931 0.292 0.352 O
```

----------

# 1
Theoretical powder diffraction line list
Compound: CeNi9Sn2
Radiation: CuKα
Structure: a crystal structure in Alexandria, relaxed with PBE

Main lines, low angle first (2θ = 10–80°):
hkl 3 1 0, 34.4°, intensity 24.1; hkl 2 2 1, 35.9°, intensity 19.0; hkl 0 0 2, 36.8°, intensity 17.8; hkl 3 1 1, 39.2°, intensity 100.0; hkl 2 0 2, 43.1°, intensity 24.1; hkl 3 2 1, 43.7°, intensity 38.2; hkl 2 1 2, 44.5°, intensity 74.9; hkl 4 1 0, 45.4°, intensity 27.8; hkl 3 1 3, 67.9°, intensity 18.3; hkl 5 1 2, 69.8°, intensity 14.4

Structure:
```
data_CeNi9Sn2
_symmetry_space_group_name_H-M 'P 4/m b m'
_symmetry_Int_Tables_number 127
_symmetry_space_group_name_Hall '-P 4 2ab'
_cell_length_a 8.2374
_cell_length_b 8.2374
_cell_length_c 4.8831
_cell_angle_alpha 90.00
_cell_angle_beta 90.00
_cell_angle_gamma 90.00
loop_
_atom_site_label
_atom_site_fract_x
_atom_site_fract_y
_atom_site_fract_z
Ce1 0.0000 0.0000 0.0000
Ni1 0.0000 0.5000 0.5000
Ni2 0.0661 0.2045 0.5000
Ni3 0.1739 0.6739 0.2462
Sn1 0.1269 0.3731 0.0000
```

---

# 2
Theoretical powder diffraction line list
Compound: Ce10Ni3Sn3
Radiation: CuKα
Structure: a crystal structure in Alexandria, relaxed with PBE

Main lines, low angle first (2θ = 10–80°):
hkl 1 1 3, 25.2°, intensity 20.5; hkl 3 1 1, 27.0°, intensity 23.0; hkl 0 4 2, 31.3°, intensity 23.8; hkl 1 3 3, 31.8°, intensity 71.4; hkl 3 3 1, 33.4°, intensity 100.0; hkl 2 0 4, 34.9°, intensity 76.4; hkl 2 4 2, 35.6°, intensity 61.6; hkl 5 1 3, 49.1°, intensity 17.6; hkl 5 3 3, 53.1°, intensity 20.8; hkl 6 6 0, 67.9°, intensity 22.2

Structure:
```
data_Ce10Ni3Sn3
_symmetry_space_group_name_H-M 'F m m 2'
_symmetry_Int_Tables_number 42
_symmetry_space_group_name_Hall 'F 2 -2'
_cell_length_a 10.6863
_cell_length_b 13.0841
_cell_length_c 11.7469
_cell_angle_alpha 90.00
_cell_angle_beta 90.00
_cell_angle_gamma 90.00
loop_
_atom_site_label
_atom_site_fract_x
_atom_site_fract_y
_atom_site_fract_z
Ce1 0.0000 0.1318 0.0000
Ce2 0.0000 0.1414 0.6973
Ce3 0.1803 0.1490 0.3337
Ce4 0.1955 0.0000 0.0802
Ni1 0.0000 0.0000 0.2452
Ni2 0.1311 0.0000 0.8229
Sn1 0.0000 0.0000 0.4775
Sn2 0.2500 0.2500 0.0848
```

---

# 3
Theoretical powder diffraction line list
Compound: CeNi5Sn
Radiation: CuKα
Structure: a crystal structure in Alexandria, relaxed with PBE
=====

-- What to do --
Could you say how many lines of the material further above hold the word "falling", as a bare number?

-- Response --
1